Success Stories
What difference does coaching make?
The testimonials provided by satisfied clients tell one story, but what difference has coaching made? On this page I’ve included an update how the careers of people I’ve worked with have developed. Coaching is a powerful tool, and one that does have a lasting impact on the people who embrace it.
It also has an impact on the coach! At the end of 2023 I was given an ‘Outstanding Alumni’ Award by Nottingham Trent University for the (voluntary) work I have done over the past decade with students within the Nottingham Business School. In my speech to the graduands, I talked about the lessons I have learned from my career, including the importance of having a sense of direction, maximising your luck and being true to your values. These have all been key themes of my career and a core part of how I coach others. My concluding thoughts, and one of my guiding principles, were:
You make a living by what you get. You make a life by what you give.
Having taken redundancy and not being sure what to do next, our sessions helped him connect with his passion for comedy and writing. He now writes for a national magazine. He told me ‘It’s decent pay, great hours and they seem extremely nice, though I’ve been working from home all the time and haven’t actually met them! But I’m enjoying it a lot – and it suits me.’ He is also writing for a comedy news website.
After coming to the UK with his wife, A’s career was set back by the pandemic, so he found a temporary job at Amazon. We worked together to develop his CV, his knowlege of the UK employment market, LinkedIn and the strengths he could bring to an employer. He has now gained a promotion at work, and is using his education and skills in a role where he is valued and encouraged to develop.
Found working in a high-pressure industry where she was expected to be available 24/7 highly stressful. Following our sessions, she left her job and is now studying programming. It’s been a big change but she is now enjoying life again and looking forward to a new career in a different industry.
Also started studying at University. His career pivot has been from running his own electrical installation business to studying music at a top London University. He is finding life challenging but rewarding and he finally has an outlet for his creativity.
Also left her job. She has pivoted from working in a school to running a sustainable tourism business. The first year has been challenging, but the work is more purposeful and fulfilling.
Told me that revamping her LinkedIn profile and knowing her true worth to an employer was key to changing her career. She started a new role at the end of 2021 is really looking forward to 2022.
Managed to overcome her anxiety about work which gave her confidence in herself again. As a result, she was offered a higher-level role in a new company.
What will the future bring?
Data records from another source follow:
+++
[1]
10
Properties=species:S:1:pos:R:3:nbo_charge:R:1 method="wB97M-V/def2-TZVPD" largest_force_ev_per_a=4.149 e_tot_ev=-10681.9674
C -0.949 -1.129 0.907 0.05
C 0.188 -0.043 -0.508 0.21
N -1.709 -1.869 1.354 -0.43
N -0.465 1.077 -0.852 -0.75
N 1.208 0.011 0.507 0.46
O 1.371 1.109 1.011 -0.37
O 1.867 -0.942 0.861 -0.32
H 0.258 -0.880 -1.281 0.28
H -0.926 0.869 -1.775 0.42
H -0.843 1.797 -0.223 0.45


[2]
10
Properties=species:S:1:pos:R:3:nbo_charge:R:1 method="wB97M-V/def2-TZVPD" largest_force_ev_per_a=7.628 smiles=OCc1nnon1 e_tot_ev=-10682.2336
O -1.886 -0.379 0.738 -0.71
C -1.679 0.299 -0.534 -0.12
C -0.119 0.217 -0.474 0.25
N 0.371 -0.932 -0.350 -0.27
N 1.639 -0.815 -0.024 0.16
O 1.751 0.395 0.437 -0.11
N 0.675 1.162 0.003 -0.11
H -2.915 0.048 1.143 0.47
H -2.008 1.415 -0.592 0.22
H -2.011 -0.586 -1.302 0.22

~~~~~

Formula: C3H11N3O
Source: OMol25
Level of theory: wB97M-V/def2-TZVPD

Atoms and positions in Å:
N -0.58557 -0.44821 2.01903
C -1.01276 0.90121 2.11870
O -0.18980 1.74766 1.31888
H -0.75537 -0.84788 1.04806
H 0.39680 -0.68065 2.31300
H -2.09595 1.00432 1.82137
H -1.01067 1.19578 3.17564
H -0.39927 2.65399 1.54140
C 0.60966 0.06844 -1.32148
C 0.35890 -1.21247 -1.63376
N 0.43329 -2.31302 -0.70651
N 0.53162 1.12356 -2.30569
H 0.89501 0.46483 -0.35917
H 0.14117 -1.43135 -2.71251
H 1.38550 -2.42734 -0.37247
H 0.24548 -3.16780 -1.22352
H 1.35245 1.66267 -2.51989
H -0.30049 1.70626 -2.20108

Values from the calculation:
HOMO-LUMO gap in eV: 9.44
ΔE to the lowest compared entry with this formula, charge and spin in kcal per mole: 49.7
E_HOMO in eV: -8.50
SMILES: N/C=C/N.NCO
Strongest force on any atom in eV/A: 2.124

Mulliken population analysis, charges in e, atoms 1 to 5:
1 N -0.571
2 C -0.305
3 O -0.474
4 H 0.217
5 H 0.277

~~~~~

# 1
C9H9N3OS in the gas phase in a non-equilibrium geometry. Source: the OMol25 dataset; level of theory: ωB97M-V/def2-TZVPD.

Output
HOMO level ... -8.44 eV
Electronic energy ... -26831.1023 eV
Kohn-Sham gap ... 8.830 eV
Energy relative to the best compared isomer or geometry (same formula, charge and spin) ... 3.6 kcal per mole

Geometry as ORCA input:
```
! RIJCOSX wB97M-V def2-TZVPD def2/J DEFGRID3
* xyz 0 1
N -2.4136 1.2842 -3.7861
C -2.1242 1.0101 -2.4986
N -1.3680 1.7310 -1.7435
N -1.1753 1.2168 -0.5356
C -1.7653 0.1094 -0.3176
C -1.7282 -0.6733 0.9528
O -0.7600 -0.2219 1.8557
C 0.5623 -0.3379 1.5222
C 1.0498 -0.9638 0.3825
C 2.4168 -1.0374 0.1698
C 3.3049 -0.4969 1.0799
C 2.8182 0.1265 2.2183
C 1.4594 0.2061 2.4404
H 1.0612 0.6885 3.3188
H 3.5024 0.5544 2.9359
H 4.3681 -0.5575 0.9039
H 2.7844 -1.5239 -0.7220
H 0.3842 -1.3915 -0.3514
H -2.6847 -0.5532 1.4764
H -1.6016 -1.7423 0.7206
S -2.7020 -0.4684 -1.7095
H -3.2026 0.8288 -4.2103
H -2.1861 2.2122 -4.1026
*
```



# 2
C9H9NO2 in the gas phase in a non-equilibrium geometry. Source: the OMol25 dataset; level of theory: ωB97M-V/def2-TZVPD.

Output
HOMO level ... -9.14 eV
Electronic energy ... -15059.8050 eV
Kohn-Sham gap ... 8.927 eV
+++
I don’t like to make predictions, but this quote from Robert Lois Stevenson sums up my approach to the year ahead.
“Don’t judge each day by the harvest you reap but by the seeds that you plant.”